Understanding the Role of Perception
Ṭhānissaro Bhikkhu

In the beginning, when you first notice the power of perception, you can easily feel overwhelmed by how pervasive it is. Suppose you’re focusing on the breath. There comes a point when you begin to wonder whether you’re focusing on the breath itself or on your idea of the breath.
Once this question arises, the normal reaction is to try to get around the idea to the raw sensation behind it. But if you’re really sensitive as you do this, you’ll notice that you’re simply replacing one caricature of the breath with another, more subtle one. Even the raw sensation of breathing is shaped by how you conceptualize raw sensation. No matter how hard you try to pin down an unfiltered experience of breathing, you still find it shaped by your idea of what breathing actually is. The more you pursue the reality of the breath, the more it recedes like a mirage.
### Crystal structures from another source follow
Version w
A relaxed Li3MnCo2O6 crystal. Source: the Materials Project database, functional GGA+U.

Summary:
The crystal system is triclinic. Its mass density is 4.40 g/cm³.

Lattice parameters (Å, degrees): 5.064 5.142 8.900 73.46 84.19 79.85
Sites, in units of the cell vectors:
1 Li 0.000 0.000 0.000
2 Li 0.000 0.340 0.661
3 Li 0.001 0.677 0.320
4 Li 0.502 0.838 0.167
5 Li 0.505 0.515 0.488
6 Li 0.506 0.176 0.827
7 Mn 0.252 0.758 0.744
8 Mn 0.752 0.257 0.244
9 Co 0.251 0.093 0.410
10 Co 0.253 0.422 0.079
11 Co 0.752 0.588 0.914
12 Co 0.752 0.927 0.575
13 O 0.106 0.064 0.205
14 O 0.117 0.422 0.861
15 O 0.117 0.726 0.553
16 O 0.386 0.094 0.627
17 O 0.387 0.789 0.935
18 O 0.398 0.452 0.283
19 O 0.607 0.566 0.706
20 O 0.639 0.225 0.045
21 O 0.640 0.910 0.367
22 O 0.865 0.289 0.442
23 O 0.866 0.603 0.122
24 O 0.896 0.950 0.783

Version x
A relaxed Li3MnCo2O6 crystal. Source: the Materials Project database, functional GGA+U.

Summary:
The crystal system is monoclinic. Its mass density is 4.41 g/cm³.

Lattice parameters (Å, degrees): 5.113 5.113 5.143 99.12 99.12 120.96
Sites, in units of the cell vectors:
1 Li 0.000 0.000 0.000
2 Li 0.336 0.664 0.000
3 Li 0.664 0.336 0.000
4 Mn 0.500 0.500 0.500
5 Co 0.169 0.831 0.500
6 Co 0.831 0.169 0.500
7 O 0.108 0.421 0.272
8 O 0.257 0.257 0.723
9 O 0.421 0.108 0.272
10 O 0.579 0.892 0.728
11 O 0.743 0.743 0.277
12 O 0.892 0.579 0.728

Version y
A relaxed Li3MnCo2O6 crystal. Source: the Materials Project database, functional GGA+U.

Summary:
The crystal system is monoclinic. Its mass density is 4.33 g/cm³.

Lattice parameters (Å, degrees): 5.212 5.212 8.065 113.76 113.76 33.97
Sites, in units of the cell vectors:
1 Li 0.000 0.000 0.000
2 Li 0.333 0.333 0.667
3 Li 0.667 0.667 0.333
4 Mn 0.000 0.000 0.500
5 Co 0.331 0.331 0.165
6 Co 0.669 0.669 0.835
7 O 0.010 0.010 0.744
8 O 0.328 0.328 0.926
9 O 0.337 0.337 0.407
10 O 0.663 0.663 0.593
11 O 0.672 0.672 0.074
12 O 0.990 0.990 0.256

Most favorable structure: version x. The second most favorable one is 7 meV/atom above it.

Version w
A relaxed Li3MnP2O8 crystal. Source: the Materials Project database, functional GGA+U.

Summary:
Its mass density is 3.12 g/cm³.

Lattice parameters (Å, degrees): 6.201 8.509 10.718 89.94 90.18 88.81
Sites, in units of the cell vectors:
1 O 0.939 0.756 0.750
2 O 0.469 0.247 0.750
3 O 0.939 0.256 0.000
4 O 0.270 0.530 0.383
5 O 0.730 0.970 0.367
6 O 0.531 0.253 0.000
7 O 0.270 0.030 0.868
8 O 0.469 0.747 0.000
9 O 0.730 0.469 0.617
10 O 0.531 0.753 0.750
11 O 0.061 0.744 0.000
12 O 0.730 0.469 0.382
13 O 0.730 0.969 0.132
14 O 0.270 0.530 0.618
15 O 0.061 0.244 0.250
16 O 0.061 0.744 0.500
17 O 0.270 0.030 0.368
18 O 0.731 0.470 0.117
19 O 0.469 0.247 0.250
20 O 0.469 0.747 0.500
21 O 0.531 0.753 0.250
22 O 0.730 0.970 0.867
23 O 0.269 0.031 0.633
24 O 0.939 0.756 0.250
25 O 0.270 0.531 0.883
26 O 0.730 0.470 0.882
27 O 0.061 0.244 0.750
28 O 0.271 0.530 0.118
29 O 0.730 0.970 0.632
30 O 0.939 0.256 0.500
31 O 0.531 0.253 0.500
### End of the crystal structures
The trick here is to turn this fact to your advantage. After all, you’re not meditating to get to the breath. You’re meditating to understand the processes leading to suffering so that you can put an end to them. The way you relate to your perceptions is part of these processes, so that’s what you want to see. You have to treat your experience of the breath, not as an end in itself, but as a tool for understanding the role of perception in creating suffering and stress.
You do this by de-perception: questioning your assumptions about breathing, deliberately changing those assumptions, and observing what happens as a result. Now, without the proper context, de-perception could easily wander off into random abstractions. So you take the practice of concentration as your context, providing de-perception both with a general direction and with particular tasks that force it to bump up against the operative assumptions that actually shape your experience of the present.
The general direction lies in trying to bring the mind to deeper and more long-lasting levels of stillness so as to eliminate more and more subtle levels of stress. You’re not trying to prove which perceptions of the breath depict it most truly, but simply which ones work best in which situations for eliminating stress. The objectivity you’re looking for is not the objectivity of the breath, but the objectivity of cause and effect.
The particular tasks that teach you these lessons begin with the task of trying to get the mind to stay comfortably focused for long periods of time on the breath—and right there you run into two operative assumptions: What does it mean to breathe? What does it mean to be focused?
Between two parts of the page: data records.
<<<
Entry 1:
# CeSe2

CeSe2 after structural relaxation (PBE-GGA, the Materials Project).

Its crystal system is orthorhombic. Its space group is Pnnm, No. 58. The total energy comes out at -5.790 eV per atom. As for the energy with MP2020 corrections: -36.6 eV/cell. The energy of formation is -41.4 kcal/mol of atoms.

Unit cell a=6.4697 b=6.6488 c=4.3955 alpha=90.00 beta=90.00 gamma=90.00
Closest atoms and distances in Å follow each position.
Positions (direct):
1 Ce 0.0000 0.0000 0.0000  6 Se 2.86-2.90
2 Ce 0.5000 0.5000 0.5000  6 Se 2.86-2.90
3 Se 0.2418 0.1433 0.5000  3 Ce 2.86-2.90
4 Se 0.2582 0.6433 0.0000  3 Ce 2.86-2.90
5 Se 0.7418 0.3567 0.0000  3 Ce 2.86-2.90
6 Se 0.7582 0.8567 0.5000  3 Ce 2.86-2.90



Entry 2:
# TeI2

TeI2 after structural relaxation (PBE-GGA, the Materials Project).

Its crystal system is tetragonal. Its space group is P4_2/mnm, No. 136. The total energy comes out at -2.099 eV per atom. As for the energy with MP2020 corrections: -14.1 eV/cell. The energy of formation is -6.6 kcal/mol of atoms.

Unit cell a=8.8623 b=8.8623 c=4.1763 alpha=90.00 beta=90.00 gamma=90.00
Closest atoms and distances in Å follow each position.
Positions (direct):
1 Te 0.0000 0.0000 0.0000  4 I 3.00
2 Te 0.5000 0.5000 0.5000  4 I 3.00
3 I 0.1723 0.1723 0.5000  2 Te 3.00
4 I 0.3277 0.6723 0.0000  2 Te 3.00
5 I 0.6723 0.3277 0.0000  2 Te 3.00
6 I 0.8277 0.8277 0.5000  2 Te 3.00



Entry 3:
# Mg6SiW

Mg6SiW after structural relaxation (PBE-GGA, the Materials Project).

The total energy comes out at -3.220 eV per atom. Its distance to the lowest polymorph of the same formula is 36.9 meV/atom. The energy of formation is 6.4 kcal/mol of atoms.

Unit cell a=5.0543 b=5.6184 c=10.6958 alpha=90.00 beta=90.00 gamma=90.00
Closest atoms and distances in Å follow each position.
Positions (direct):
1 Mg 0.0000 0.2422 0.5813  6 Mg 2.72-3.04, 2 W 3.04
2 Mg 0.0000 0.5000 0.8238  10 Mg 2.81-3.08, 2 Si 3.01
3 W 0.5000 0.5000 0.1753  2 Si 2.81, 10 Mg 2.97-3.04
4 W 0.5000 0.0000 0.6753  2 Si 2.81, 10 Mg 2.97-3.04
5 Mg 0.0000 0.0000 0.3238  10 Mg 2.81-3.08, 2 Si 3.01
6 Mg 0.5000 0.2507 0.4231  8 Mg 2.80-3.09, 2 Si 2.99-3.05, 2 W 3.00-3.04
7 Mg 0.0000 0.7422 0.0813  6 Mg 2.72-3.04, 2 W 3.04
8 Mg 0.0000 0.7578 0.5813  6 Mg 2.72-3.04, 2 W 3.04
9 Mg 0.5000 0.7493 0.4231  8 Mg 2.80-3.09, 2 Si 2.99-3.05, 2 W 3.00-3.04
10 Mg 0.0000 0.5000 0.3217  10 Mg 2.81-3.13, 2 W 2.97
11 Si 0.5000 0.5000 0.6703  2 W 2.81, 10 Mg 2.99-3.06
12 Si 0.5000 0.0000 0.1703  2 W 2.81, 10 Mg 2.99-3.06
13 Mg 0.5000 0.7507 0.9231  8 Mg 2.80-3.09, 2 Si 2.99-3.05, 2 W 3.00-3.04
14 Mg 0.5000 0.2493 0.9231  8 Mg 2.80-3.09, 2 Si 2.99-3.05, 2 W 3.00-3.04
15 Mg 0.0000 0.2578 0.0813  6 Mg 2.72-3.04, 2 W 3.04
16 Mg 0.0000 0.0000 0.8217  10 Mg 2.81-3.13, 2 W 2.97



- Which of these has the lowest energy of formation?
  CeSe2
>>>
This reflection by Ajaan Geoff is from the book, The Karma of Questions, (pdf) pp.37-38.